![Image for Les fondations sont l’épine dorsale du secteur caritatif canadien](https://policyoptions.irpp.org/wp-content/uploads/sites/2/2025/01/Wordpress-Foundations-underpin-the-structure-of-Canadian-charities.jpg)
I would like to thank the IRPP for the opportunity to say a few words this afternoon. Let me start off by saying I believe our parliamentary electoral system is in a crisis: We are sleepwalking toward a crisis in democracy.
Since I was elected in 1968, I have seen the gradual decline of the power of Parliament and the increase in the power of the executive through the Trudeau and Mulroney years. This trend has accelerated in the last five or six years with the Chrétien government.
The other trend, of course, has been the increase in the power of the judiciary, which happened as a conse- quence of the decision””the proper decision, in my opin- ion””to enshrine the Charter of Rights and Freedoms in the constitution, which can be used to give more power to the judicial system. But we have not seen any enhanced power to Parliament itself or to parliamentarians. I do believe that we need serious reforms of Parliament and the elec- toral system.
I want to summarize very quickly by saying that we need more power for individual MPs, and parliamentary committees. We have the most handcuffed parliamentary system in the world in terms of freedom of voting by members of Parliament. In the mother of parliaments itself, in Great Britain, the Blair government experienced many many cases where backbench MPs voted against a government bill and the bill was defeated. I’m not talking about a budget bill, or something fundamentally very important.
The other change that is needed is, of course, less power for the executive and the Prime Minister’s Office. Our Prime Minister appoints the Cabinet, the judiciary, the Senate, the head of military, the head of the CBC. He appoints the head of almost everything in this country and does so without the input of Parliament.
The other institution that needs revision is the Senate. The polls show that about five per cent of Canadians sup- port the existing Senate. Five per cent””the Senators, their families, their cousins, their friends and so on! And the other 95 per cent want to either reform it, elect it or abolish it. I am on the abolition side. One way or other we have to do something about the Senate, whose annual cost to tax- payers is around $60,000,000.
Unrelated to this text: crystal structures:
~~~
This record from Materials Project describes crystalline Na3NbZnSi2SO12 at its relaxed geometry. The functional is PBE-GGA.

The structure in POSCAR format:
```
Na3NbZnSi2SO12
1.0
9.0869 0.0434 -0.0950
-4.5059 7.8912 0.0950
-0.2417 0.1395 22.5331
Na Nb Zn Si S O
18 6 6 12 6 72
Cartesian
5.8366 0.1901 5.6083
6.0295 4.9322 5.4947
7.2139 2.8547 16.8748
3.2035 0.3166 16.7613
1.2251 2.8525 13.1826
1.4180 7.5946 13.0691
2.8441 5.3776 1.9161
-1.1663 2.8395 1.8025
5.7005 5.5584 20.6620
1.3123 2.3659 20.5485
2.7384 0.1488 9.3955
3.3091 5.5454 9.2819
4.4396 7.8661 11.0771
-0.1322 0.2265 22.3437
4.3340 2.6373 18.5565
4.5849 2.7928 7.2899
-0.0358 5.1603 3.5977
-0.0266 5.4553 14.8643
4.3780 8.0181 14.5648
-0.0530 0.0643 3.2982
4.2724 2.7893 22.0442
4.4225 2.7701 10.7776
-0.0974 5.3123 7.0854
-0.1890 5.4326 18.3520
4.2816 7.8997 7.9078
-0.2403 0.3465 19.1743
4.1760 2.6709 15.3872
4.4768 2.9128 4.1206
-0.1938 5.1939 0.4284
-0.1347 5.5753 11.6950
3.1514 5.6073 5.6956
7.7085 2.3842 5.5945
1.1799 2.4715 16.9621
6.2497 0.1366 16.8611
3.0458 0.3785 13.1750
3.0970 5.0467 13.1689
5.8970 5.0379 1.9084
1.8798 2.6595 1.9023
-1.5657 3.0410 20.7493
-1.5145 7.7091 20.7432
1.2855 7.7003 9.4828
-2.7317 5.3219 9.4767
-1.9164 7.9339 5.7524
-3.3689 5.6971 17.0189
7.0649 2.7485 13.1368
5.8540 0.3722 1.8702
2.4534 5.4110 20.7111
1.2425 3.0346 9.4446
1.8431 0.1939 6.8895
3.8259 6.2267 7.0107
8.0542 1.4650 6.8328
0.9807 1.5777 18.2773
5.2138 6.3112 18.1561
7.2185 0.2968 18.0994
2.7324 7.8183 15.5670
0.4466 1.6350 15.6322
-3.6607 6.5909 15.8252
3.5093 6.6606 4.3657
-0.7028 1.5893 4.3005
-2.8363 7.7397 4.5586
6.3185 2.8998 14.3689
3.7203 0.9979 14.4901
3.4427 4.1275 14.4072
5.6978 4.1441 3.2235
5.3499 0.9429 3.1023
2.8487 2.8197 3.1406
2.8685 2.4500 0.5133
5.1637 4.2013 0.5785
5.5622 1.2660 0.6765
3.4037 1.4318 11.8451
3.7727 4.2952 11.7798
6.1450 2.5544 11.9430
1.7070 5.5622 21.9432
-0.8912 3.6604 22.0644
-1.1688 6.7899 21.9815
1.0863 6.8065 10.7979
0.7384 3.6054 10.6767
-1.7628 5.4821 10.7150
-1.7430 5.1125 8.0876
0.5523 6.8638 8.1529
0.9507 3.9284 8.2509
-1.2078 4.0942 19.4194
-0.8388 6.9576 19.3542
1.5335 5.2168 19.5174
-3.6484 6.6536 9.3393
2.8643 7.8989 9.3278
0.8123 1.6633 9.2395
-0.9483 1.5744 20.5944
-3.1262 7.8372 20.6058
3.4259 6.4693 20.5060
7.8362 1.4141 13.1286
1.3621 0.3967 13.2874
3.7767 6.5884 13.2946
5.0394 6.4869 2.0208
7.3954 0.3715 1.8620
0.8845 1.2999 2.0280
5.3329 1.4682 16.7237
2.7587 2.6701 16.8072
5.2877 4.3692 16.7188
3.7688 4.1407 5.5406
6.0968 2.5123 5.4571
3.5619 1.1010 5.4523
3.2247 4.0765 20.7029
5.8376 3.1026 20.7667
3.6711 1.3596 20.7739
~~~
These are some of the Parliamentary reforms that I believe are necessary.
Now to the electoral side””the voting side. I think we have to make a serious move towards a new democracy in this country.
The Parliament of Canada does not mirror how people vote. In the last Parliament, 41 per cent of the people voted Liberal, and that party captured about 60 per cent of the seats in the House of Commons. If you go back to 1997, the Conservatives and the Reform/Alliance both had 19 per cent of the votes, but you had 20 Tories and some 60 members of the Reform Party sitting in the House. The NDP and the Bloc had 11 per cent each. Yet we had 21 seats and the Bloc had 44. If you go back to 1993, the Conservative can- didates had a lot more votes than the BQ. But the Bloc had 54 seats and the Conservatives had two. The bottom line is a Parliament that does not reflect how people voted.
Right now we have three provincial govern- ments that are in power even though they are the minority party compared to the opposition. In Quebec, Lucien Bouchard and the Parti Québécois got fewer votes than Jean Charest and the Liberal Party, and yet they govern the province. And to show that I am non-partisan, in my own province of Saskatchewan my own party ””the Romanow NDP””got 38 per cent of the votes and the Saskatchewan Party got 39. And yet we have an NDP-Liberal coalition government in Saskatchewan. Also, in BC, the NDP government there got fewer votes than the opposition Liberals. You can go all around the piece and you find the same thing time and time again. Parliament does not reflect how people vote.
I think that is one of the reasons people are losing confidence in the Canadian political sys- tem. I remember in 1965, 1968, 1972, 1974 and so on you’d have 75 to 80 per cent of the people in this country voting. I was astonished to learn that in 1997 the voter turnout fell to 67 per cent and I thought that was rock-bottom. Until last fall … 61 per cent! Plus the fact that about 1,000,000 people were left off the voters’ list because we didn’t have adequate enumeration of voters from coast to coast. So, people have given up, in terms of the electoral system and in terms of the voting system.
And there is another thing: we have fake majorities in this country. Since 1921 or 1923, we’ve only had three true majority governments that were elected by a true majority of the people. Yet, we’ve had a lot of so-called ”œmajorities.” The Chrétien government last time around had 38 per cent of the vote. That’s the effective majority with the smallest proportion of votes in Canadian history. The only clear-cut majorities since 1921 have been MacKenzie King and John Diefenbaker, though Brian Mulroney came very close, with about 49.99 per cent of the vote in 1984. So you have all these fake majorities.
I believe that for all these reasons people are giving up on the electoral system.
How do you change that? It’s not going to be brought about by politicians, it seems. I introduced a motion in the last Parliament, motion 155, which would have set up an all- party committee to look at the various forms of PR that might be incorporated into our electoral system. This committee would travel across the country, set up hearings, listen to witnesses, come to a consensus and bring the consensus back to Parliament. If Parliament agrees to it, that consensus would then be put to the Canadian people in the form of a referendum.
We did some research, and the Library of Parliament told us that the last time there was a vote on PR in the House of Commons was in 1923. The last time a private member’s bill was debated””which is non-voteable bill””was in 1979, and it was from Liberal Jean-Luc Pépin. I got lucky, my bill was drawn. It was deemed vote- able. We debated it for two hours. We were sup- posed to debate it for a third hour, and then Jean Chrétien called the snap election last fall and we never got our vote. The motion was dropped. It would have been the first vote since 1923 but the election changed all of that.
The other reason why we have to look at changing and modernizing our voting system is that most of the democratic world has done it. We are one of only three countries in the world with more than eight million people that use a pure first-past-the-post system. The other ones are the US and India.
In Britain, the Blair Government has brought PR into the Welsh parliament and the Scottish parliament and there’s some degree of PR in the Parliament of Northern Ireland. After the next election in Great Britain, we will probably see a referendum on PR for Westminster itself. So, we are a long way behind the United Kingdom.
And then we come to the old question of fairness. There isn’t enough representation. We have lots of people that feel as though they have cast wasted votes for the defeated candidates. Votes in this country are not equal. If you’re vot- ing for the Liberal Party in Ontario, it doesn’t take many people to elect a member of Parliament. However, if you’re voting for one of the other parties, the Conservatives in particular, it takes a lot more people to elect a member of Parliament. So, the old question of representa- tion and in that, of equality, is very important.
The other reason why I think we have a poor electoral system is that it aggravates regionalism in this country. We now have five regional parties in Canada. The Liberals have very few members in Western Canada. A system of proportional rep- resentation would erase a certain amount of the regionalism in this country, and Canada would be represented as a whole. It would draw the country together.
Another important problem of fairness is that people don’t always vote the way they want to. For example, I have a friend who has never in 25 years voted for his party of preference, which is the NDP. He’s afraid. Mostly of the Tories and now the Alliance. So he votes Liberal all the time. He has always voted for the Liberals because he fears that if he doesn’t vote for them, his vote would be wasted.
We should be looking at all of those things with PR in mind. With PR, all votes would be equal. There would be no wasted votes.
If we want to change the system, my own bias would be to look at the German system, which is a mixed member/proportional system. With the German model, we could keep our sin- gle member ridings, and then elect some of our MPs on a so-called list system: 50 per cent from the riding, 50 per cent off the list. The list is based on an order of preference. A voter would indicate his or her first choice on the ballot, and the sec- ond and so on. The candidates from the list are used to top up parties that are under-represented by the riding system. And I think that in this country, we could go province by province. Saskatchewan, for instance, would keep seven of its 14 members in riding situations. The other seven would be chosen from the list.
We realize that each province is different. Quebec certainly has a very distinct culture, as does Newfoundland and the Prairies. To equally represent these various cultures, beliefs and val- ues, we need to be able to add value to our House of Commons. I believe that PR is the way to go.
Some people say that you can’t change the system because trying is too complicated. This just means that we are underestimating the intel- ligence of the people. People can learn quickly how to mark their new ballots, decipher the new system, and decide which democratically elected MPs they want to choose. Never underestimate the intelligence of the people. If we listen to the people, and give them options, they will make the right decisions.